# Exercise
Could you retype the material further down from the first line to the one with "I4/mmm (No." without additions?

# Contents
-- begin --
Entry 1:
An optimized crystal structure of NaAlGe. Source: Alexandria, functional PBE.

Unit cell a=4.162 b=4.266 c=7.709 alpha=90.00 beta=90.13 gamma=90.03
Space group P1 (No. 1)
Asymmetric unit:
Na1 0.000 0.000 0.000 [1 per cell]
Na2 0.499 0.500 0.723 [1 per cell]
Al1 0.499 0.999 0.373 [1 per cell]
Al2 0.501 0.500 0.148 [1 per cell]
Ge1 0.002 0.498 0.368 [1 per cell]
Ge2 0.999 0.998 0.587 [1 per cell]

Properties
ΔE_f = -0.02 eV per atom
Fermi-level density of states = 0.89 states/eV per cell
spin magnetization = 0.0 μB/f.u.

---

Entry 2:
An optimized crystal structure of NaAlGe. Source: Alexandria, functional PBE.

Unit cell a=7.432 b=5.134 c=6.730 alpha=90.00 beta=90.00 gamma=90.00
Space group Aem2 (No. 39)
Asymmetric unit:
Na1 0.000 0.000 0.000 [4 per cell]
Al1 0.383 0.250 0.361 [4 per cell]
Ge1 0.295 0.250 0.735 [4 per cell]

Properties
ΔE_f = 0.09 eV per atom
Fermi-level density of states = 2.33 states/eV per cell
spin magnetization = 0.0 μB/f.u.

---

Entry 3:
An optimized crystal structure of NaAlGe. Source: Alexandria, functional PBE.

Unit cell a=4.394 b=13.525 c=6.673 alpha=90.00 beta=90.00 gamma=90.00
Space group Imm2 (No. 44)
Asymmetric unit:
Na1 0.000 0.000 0.000 [2 per cell]
Na2 0.000 0.351 0.450 [4 per cell]
Al1 0.000 0.000 0.510 [2 per cell]
Al2 0.000 0.322 0.958 [4 per cell]
Ge1 0.000 0.176 0.675 [4 per cell]
Ge2 0.000 0.500 0.795 [2 per cell]

Properties
ΔE_f = -0.02 eV per atom
Fermi-level density of states = 1.14 states/eV per cell
spin magnetization = 0.0 μB/f.u.

---

Entry 4:
An optimized crystal structure of NaAlGe. Source: Alexandria, functional PBE.

Unit cell a=10.789 b=10.789 c=4.799 alpha=90.00 beta=90.00 gamma=90.00
Space group I4/mmm (No. 139)
Asymmetric unit:
Na1 0.000 0.214 0.000 [8 per cell]
Al1 0.212 0.212 0.500 [8 per cell]
Ge1 0.000 0.380 0.500 [8 per cell]

Properties
ΔE_f = 0.17 eV per atom
Fermi-level density of states = 10.64 states/eV per cell
spin magnetization = 0.0 μB/f.u.
-- stop --

# Completed
Entry 1:
An optimized crystal structure of NaAlGe. Source: Alexandria, functional PBE.

Unit cell a=4.162 b=4.266 c=7.709 alpha=90.00 beta=90.13 gamma=90.03
Space group P1 (No. 1)
Asymmetric unit:
Na1 0.000 0.000 0.000 [1 per cell]
Na2 0.499 0.500 0.723 [1 per cell]
Al1 0.499 0.999 0.373 [1 per cell]
Al2 0.501 0.500 0.148 [1 per cell]
Ge1 0.002 0.498 0.368 [1 per cell]
Ge2 0.999 0.998 0.587 [1 per cell]

Properties
ΔE_f = -0.02 eV per atom
Fermi-level density of states = 0.89 states/eV per cell
spin magnetization = 0.0 μB/f.u.

---

Entry 2:
An optimized crystal structure of NaAlGe. Source: Alexandria, functional PBE.

Unit cell a=7.432 b=5.134 c=6.730 alpha=90.00 beta=90.00 gamma=90.00
Space group Aem2 (No. 39)
Asymmetric unit:
Na1 0.000 0.000 0.000 [4 per cell]
Al1 0.383 0.250 0.361 [4 per cell]
Ge1 0.295 0.250 0.735 [4 per cell]

Properties
ΔE_f = 0.09 eV per atom
Fermi-level density of states = 2.33 states/eV per cell
spin magnetization = 0.0 μB/f.u.

---

Entry 3:
An optimized crystal structure of NaAlGe. Source: Alexandria, functional PBE.

Unit cell a=4.394 b=13.525 c=6.673 alpha=90.00 beta=90.00 gamma=90.00
Space group Imm2 (No. 44)
Asymmetric unit:
Na1 0.000 0.000 0.000 [2 per cell]
Na2 0.000 0.351 0.450 [4 per cell]
Al1 0.000 0.000 0.510 [2 per cell]
Al2 0.000 0.322 0.958 [4 per cell]
Ge1 0.000 0.176 0.675 [4 per cell]
Ge2 0.000 0.500 0.795 [2 per cell]

Properties
ΔE_f = -0.02 eV per atom
Fermi-level density of states = 1.14 states/eV per cell
spin magnetization = 0.0 μB/f.u.

---

Entry 4:
An optimized crystal structure of NaAlGe. Source: Alexandria, functional PBE.

Unit cell a=10.789 b=10.789 c=4.799 alpha=90.00 beta=90.00 gamma=90.00
Space group I4/mmm (No. 139)